Closing Cycle

Opening a Period

Accounting period setup can be deferred until prior reconciliation. In which a closing period must be created.
1.Navigate Menu: Finance > Accounting Processes > Period Management
2.Click New Closing Period
3.Set period begin and ending date
4.Set Financial Year End if necessary
5.Click Create
6.Continue with Reconciliation, Depreciations, Provisions, Accruals
7.Preparation for Closing Period.
8.Perform post-audit Financial Adjustment.
Annual setup
A typical year end closing period consists of 12 months with the Financial-Year-End set to Yes.
Non 12-months setup
Financial year ending with more or less than 12 months is possible, just set the period ending date accordingly.

(Quantum chemistry results that have nothing to do with the entry)
........
ORCA calculation (ωB97M-V/def2-TZVPD) on a 6-piece molecular cluster, C15H45N9O6 overall in a non-equilibrium geometry.

Each atom is followed by the atoms it is bonded to, with distances in Å.
Element x y z (Å)
1 C 3.15399 3.72195 1.66489  O2 1.395, H7 1.087, H8 1.099, H9 1.099
2 O 2.31770 3.28128 2.69103  C1 1.395, C3 1.405
3 C 2.89171 3.30617 3.97315  O2 1.405, C4 1.516, H10 1.100, H11 1.103
4 C 2.23710 2.33131 4.93257  C3 1.516, C5 1.569, N6 1.469, H12 1.089
5 C 0.71037 2.61597 5.15746  C4 1.569, H13 1.096, H14 1.088, H15 1.089
6 N 2.90474 2.30285 6.24117  C4 1.469, H16 1.019, H17 1.014
7 H 2.58928 3.93615 0.76083  C1 1.087
8 H 3.96556 3.00862 1.46564  C1 1.099
9 H 3.72542 4.62737 1.91237  C1 1.099
10 H 3.97208 3.10117 3.96624  C3 1.100
11 H 2.92928 4.34387 4.34596  C3 1.103
12 H 2.23357 1.42064 4.33480  C4 1.089
13 H 0.61513 3.69284 5.33466  C5 1.096
14 H 0.36541 2.11828 6.06189  C5 1.088
15 H 0.09596 2.37809 4.29008  C5 1.089
16 H 2.89777 3.25416 6.60548  N6 1.019
17 H 2.24832 1.84255 6.86240  N6 1.014
18 C -5.46651 -5.94015 -2.73608  O19 1.404, H24 1.091, H25 1.098, H26 1.096
19 O -4.83664 -4.68499 -2.74657  C18 1.404, C20 1.418
20 C -3.43038 -4.86161 -2.69264  O19 1.418, C21 1.520, H27 1.097, H28 1.099
21 C -2.83032 -3.49541 -2.40162  C20 1.520, C22 1.527, N23 1.489, H29 1.091
22 C -2.78823 -2.64497 -3.66929  C21 1.527, H30 1.095, H31 1.092, H32 1.094
23 N -1.45354 -3.56676 -1.83876  C21 1.489, H33 1.029, H34 1.007
24 H -6.54029 -5.83801 -2.90314  C18 1.091
25 H -5.39514 -6.43443 -1.75822  C18 1.098
26 H -5.03396 -6.60259 -3.49402  C18 1.096
27 H -3.15076 -5.59980 -1.93042  C20 1.097
28 H -3.03497 -5.32255 -3.60903  C20 1.099
29 H -3.45725 -2.99960 -1.65919  C21 1.091
30 H -2.15140 -3.10879 -4.43017  C22 1.095
31 H -2.46431 -1.60938 -3.54629  C22 1.092
32 H -3.76307 -2.59093 -4.16214  C22 1.094
33 H -1.60375 -3.87203 -0.86813  N23 1.029
34 H -1.17113 -2.60463 -1.74998  N23 1.007
35 C 2.92040 2.10643 -3.67819  O36 1.427, H41 1.091, H42 1.092, H43 1.089
36 O 1.91909 2.35889 -2.69393  C35 1.427, C37 1.451
37 C 0.64478 2.69930 -3.29896  O36 1.451, C38 1.524, H44 1.094, H45 1.096
38 C -0.31608 3.06980 -2.17557  C37 1.524, C39 1.505, N40 1.486, H46 1.094
39 C -1.77667 2.92995 -2.50821  C38 1.505, H47 1.092, H48 1.096, H49 1.087
40 N -0.02832 4.45361 -1.71549  C38 1.486, H50 1.022, H51 1.025
41 H 2.88322 2.84636 -4.47893  C35 1.091
42 H 2.87264 1.08968 -4.07306  C35 1.092
43 H 3.88312 2.22838 -3.18319  C35 1.089
44 H 0.88033 3.54774 -3.94834  C37 1.094
45 H 0.34498 1.83951 -3.90901  C37 1.096
46 H -0.13798 2.38616 -1.33973  C38 1.094
47 H -1.97284 1.90797 -2.83822  C39 1.092
48 H -2.01962 3.59117 -3.34817  C39 1.096
49 H -2.44509 3.20535 -1.69706  C39 1.087
50 H 0.97727 4.54259 -1.55916  N40 1.022
51 H -0.06098 4.96882 -2.60051  N40 1.025
52 N 1.68504 -1.66646 2.73236  C53 1.369, H56 1.001, H57 1.016
53 C 2.88717 -1.05221 2.95924  N52 1.369, N54 1.369, O55 1.225
54 N 3.62498 -0.93830 1.81165  C53 1.369, H58 1.003, H59 1.001
........


The reconciliation process is to match and explain any discrepancies between your ledger and the bank’s statement. Each discrepancy must be resolved within a reasonable timeframe.
Step 1: Creating Reconciliation
1.Navigate Menu: Finance > Accounting Process > Reconciliation
2.Click New Reconciliation
3.Select Account
4.Set Period begin & ending date
5.Enter Statement Balance
Step 2: Matching Transaction

Open Tab: Matching


Check transaction that matches your bank statements

Step 3: Matching Prior period

Check transaction that matches your bank statements

10.Click Update
Step 4: Explaining Outstanding

Open Tab: Explaining


Provide reasons & provide explanation

[Quantum chemistry results that have nothing to do with the article]
********
# 1
101
Properties=species:S:1:pos:R:3:forces:R:3 method="wB97M-V/def2-TZVPD" total_energy_ev=-106468.84987 relative_energy_kcal_mol=0.0 total_charge=+1 fmax_ev_per_a=0.34 lumo_energy_ev="-3.9 / -2.8" multiplicity=5 gap_ev="7.31 / 8.41"
Mn 0.541526 0.544605 -0.756946 0.0 0.1 -0.1
C 3.864755 1.922606 0.342181 0.0 0.0 0.0
C 3.967154 0.785575 1.343529 0.0 0.1 0.0
C 5.017770 -0.244676 0.910859 0.0 0.0 0.0
C 2.682588 0.093573 1.735687 0.0 -0.1 -0.1
C 2.638190 -0.750202 2.842838 0.0 0.0 0.0
C 1.369710 -1.281008 2.893203 0.0 0.0 0.0
C 1.017181 -2.452600 3.776775 0.0 0.0 0.0
C -0.193983 -2.360470 4.699482 0.0 0.0 0.0
C 0.990353 -3.713898 2.905183 0.0 0.0 0.0
N 0.665627 -0.732291 1.875661 0.1 -0.1 -0.1
N 1.483932 0.093527 1.137582 0.0 0.3 0.2
B -0.837574 -0.811978 1.541311 0.0 0.0 0.0
N -1.412413 0.641635 1.302167 0.1 0.0 0.0
N -1.200246 1.147131 0.043853 0.0 -0.1 0.0
C -2.095429 2.129585 -0.174892 0.0 0.0 0.1
C -2.833844 2.302244 0.984066 0.0 0.0 0.0
C -2.376345 1.362945 1.899527 -0.1 0.0 0.0
C -2.870864 1.305540 3.323121 0.0 0.0 0.0
C -2.070579 0.443030 4.285762 0.0 0.0 0.0
C -4.364334 0.971193 3.388624 0.0 0.0 0.0
C -2.301974 2.838335 -1.487148 0.0 0.0 0.0
C -2.051830 1.907081 -2.667644 0.0 0.0 0.0
C -3.711384 3.425947 -1.559678 0.0 0.0 0.0
N -1.070898 -1.581452 0.199284 0.0 0.0 0.0
N -0.312742 -1.252433 -0.886511 0.1 -0.1 0.0
C -0.601073 -2.106564 -1.881594 -0.1 0.0 0.0
C -1.589348 -2.973012 -1.430439 0.0 0.0 0.0
C -1.876577 -2.609200 -0.123968 0.0 0.0 0.0
C -2.973860 -3.215827 0.709995 0.0 0.0 0.0
C -3.957429 -2.165181 1.225014 0.0 0.0 0.0
C -2.491010 -4.131613 1.832538 0.0 0.0 0.0
C 0.051331 -2.107363 -3.238129 0.0 0.0 0.0
C -0.326702 -0.888334 -4.077198 0.0 0.0 0.0
C -0.284283 -3.389703 -3.996675 0.0 0.0 0.0
H 4.859474 2.337213 0.167844 0.0 0.0 0.0
H 3.219199 2.720549 0.704786 0.0 0.0 0.0
H 3.469616 1.582039 -0.615651 0.0 0.0 0.0
H 4.329164 1.218314 2.281687 0.0 0.0 0.0
H 4.713880 -0.774135 0.009025 0.0 0.0 0.0
H 5.174018 -0.998045 1.681939 0.0 0.0 0.0
H 5.970884 0.252798 0.725210 0.0 0.0 0.0
H 3.450502 -0.977275 3.513082 0.0 0.0 0.0
H 1.884133 -2.530887 4.438013 0.0 0.0 0.0
H -1.137632 -2.370463 4.163411 0.0 0.0 0.0
H -0.158626 -1.464159 5.318401 0.0 0.0 0.0
H -0.187287 -3.225412 5.364262 0.0 0.0 0.0
H 0.228894 -3.633700 2.129468 0.0 0.0 0.0
H 0.770394 -4.593729 3.511620 0.0 0.0 0.0
H 1.950308 -3.862831 2.410619 0.0 0.0 0.0
H -1.419398 -1.365790 2.404092 0.0 0.0 0.0
H -3.622010 3.014223 1.153689 0.0 0.0 0.0
H -2.768692 2.344225 3.654875 0.0 0.0 0.0
H -2.325458 -0.608123 4.176291 0.0 0.0 0.0
H -2.308465 0.730730 5.310255 0.0 0.0 0.0
H -0.994567 0.553750 4.141847 0.0 0.0 0.0
H -4.556062 -0.048622 3.055308 0.0 0.0 0.0
H -4.957046 1.645692 2.771273 0.0 0.0 0.0
H -4.713934 1.060092 4.417557 0.0 0.0 0.0
H -1.589733 3.664994 -1.543908 0.0 0.0 0.0
H -2.649617 0.996633 -2.586036 0.0 0.0 0.0
H -1.002440 1.621491 -2.733940 0.0 0.0 0.0
H -2.308551 2.403894 -3.604137 0.0 0.0 0.0
H -4.467003 2.643261 -1.471555 0.0 0.0 0.0
********

Step 5: Adding missing transactions
Transactions may take place externally that are not in your ledgers yet.

Enter each missing transactions for future reconciliation resolution

Step 6: Completing Reconciliation
15.Change Status to Complete

Closing a Period

**Data records, as found in the file**
********
Entry 1:
Here is a single C8H5NO molecule in a non-equilibrium geometry from OMol25. Energies are from ωB97M-V/def2-TZVPD.

The geometry in ORCA input format:
```
! RIJCOSX wB97M-V def2-TZVPD def2/J DEFGRID3
* xyz 0 1
C -5.69696 0.51813 -0.05116
C -4.51081 0.25687 -0.04287
C -3.15852 0.00211 -0.03315
C -1.95670 -0.20869 -0.03791
C -0.60895 -0.47311 -0.07506
C 0.58115 -0.71763 -0.11075
C 2.01467 -0.96373 -0.10754
C 2.85253 0.29769 -0.20232
N 2.51658 1.48098 0.13390
H -6.74944 0.74480 -0.05263
H 2.30033 -1.50943 0.80552
H 2.29217 -1.61397 -0.95208
O 4.14988 0.00332 -0.11701
H 1.50552 1.58702 0.19449
H 4.46856 0.59565 0.64856
*
```

Highest occupied orbital energy ... -9.22 eV
Lowest unoccupied orbital energy ... 0.006 hartree
F_max ... 3.25 eV/A
Structure (SMILES) ... [H]/N=C(/O)CC#CC#CC#C
Energy above the lowest of the compared OMol25 structures with the same formula, charge and spin ... 484.5 kJ/mol
Electronic energy ... -11908.915 eV

Mulliken population analysis, charges in e, atoms 1 to 5:
1. C -0.483
2. C -0.110
3. C 0.116
4. C 0.145
5. C -0.007

=====

Entry 2:
Here is a single C19H21BrN2O5S molecule in a non-equilibrium geometry from OMol25. Energies are from ωB97M-V/def2-TZVPD.

The geometry in ORCA input format:
```
! RIJCOSX wB97M-V def2-TZVPD def2/J DEFGRID3
* xyz 0 1
O -2.33072 3.24430 -0.78902
O 3.02278 1.56808 -0.64280
O 2.92912 2.88372 1.37230
Br -4.29527 -1.20257 5.24077
N -1.37908 0.24137 2.69913
O 0.31531 -2.65187 -3.52971
O 1.62474 -2.97397 -0.97567
C -2.43274 2.43953 0.16971
C -2.09109 -0.37255 3.68900
C -2.03456 1.07199 1.89351
C -0.62592 -0.66060 -2.72727
C -4.16029 0.67548 3.02139
C -0.79672 0.36767 -1.80322
C 0.69701 -0.81429 -0.34613
C -3.46361 -0.18985 3.86464
C 0.22324 -1.75720 -2.52457
C 0.86207 -1.85661 -1.26400
C -3.39253 1.34578 2.03575
C -0.06368 0.34417 -0.60879
N -1.43573 1.73440 0.84290
C 0.07202 -4.00844 -3.12547
C -3.80447 2.23631 0.86916
C 3.50102 -4.18181 -0.00114
C 2.66252 -2.90126 0.01819
C 2.95860 4.20781 -0.87690
C 0.63532 2.74141 -0.06707
C -0.02366 1.45198 0.40445
S 2.45298 2.74936 0.00367
H -1.54480 -0.98641 4.37457
H -1.13939 -0.56577 -3.65759
H -5.24197 0.83377 3.18907
H -1.37470 1.21185 -2.07305
H 1.24856 -0.82059 0.55362
H -0.57957 -4.06006 -2.22320
H 1.00402 -4.48977 -2.86625
H -0.40806 -4.56883 -3.92096
H -4.49309 1.69027 0.19745
H -4.25221 3.17334 1.18876
H 4.21762 -4.15949 0.86443
H 4.10914 -4.27413 -0.92528
H 2.87276 -5.04102 0.09344
H 2.16972 -2.79584 1.01110
H 3.32109 -2.06334 -0.11160
H 2.54947 5.13167 -0.48999
H 2.69871 4.14508 -1.92044
H 4.06086 4.32655 -0.85251
H 0.32244 2.92395 -1.07224
H 0.28803 3.54840 0.54521
H 0.54472 1.10802 1.25262
*
```

Highest occupied orbital energy ... -8.33 eV
Lowest unoccupied orbital energy ... 0.011 hartree
F_max ... 3.56 eV/A
Structure (SMILES) ... CCOc1cc([C@@H](CS(C)(=O)=O)N2C(=O)Cc3cc(Br)cnc32)ccc1OC
Energy above the lowest of the compared OMol25 structures with the same formula, charge and spin ... 183.2 kJ/mol
Electronic energy ... -114137.933 eV
********

Once the closing preparation is completed, you can close the period. This process provides you with a quick view of a list of any pending documents that are still open.
1.Navigate Menu: Finance > Accounting Process > Period Closing
2.Select the current period
3.All documents of the period must be confirm or cancelled
4.When the checklist are good to go, Change status to Close
Audit Package
5.You have the option to export the audit package for audit purposes.

Post-closing Adjustment

Post-closing adjustments are necessary when correctional or audit adjustments occurs. These adjustments shall be made into the new period but will be shown in the previously closed period.
1.Navigate Menu: Finance > Journal Entry
2.Click New Journal Entry
3.Set date to first day of the new period, and time to 12:00am
4.Describe adjustment accordingly
5.Expand Advance Options and set Audit Adjustment to Yes
6.Begin entry adjustment item accordingly
7.Create, and then change status to confirm